Two weeks later and Frank had left the hospital and was back again withthe Army Boys. The injury to his head was found to be not serious, andthe leg although badly wrenched and strained had no bone broken. Ityielded rapidly to treatment, and Frank's splendid strength andvitality aided greatly in his cure.
There was immense jubilation among the Army Boys when their idolizedcomrade resumed his place in the ranks.
"You can't keep a squirrel on the ground," exulted Tom, as he gave hisfriend a tremendous thump on the back.
"Or Frank Sheldon away from the firing line," grinned Bart, looking athis friend admiringly.
"You didn't think I was going to stay in that dinky hospital when therewas so much doing, did you?" laughed Frank. "Say, fellows, if my leghad been broken instead of just sprained, I'd have died of a brokenheart. I've got to get busy now and get even with the boches for thatcrack on the head they gave me. It's a good thing it's solid ivory, orit would have been split for fair."
"You don't need to worry about paying the Germans back," chuckledBilly. "You paid them in advance. You don't owe them a thing. Say,what George Washington did to the cherry tree with his little hatchetwasn't a circumstance to what you did to the Huns with that axe ofyours. The axe is your weapon, Frank. A rifle doesn't run one, two,three, compared with it."
"I'll admit that the axe work was good as a curtain raiser," remarkedTom. "But the real show was when those machine guns and their crewswere blown to pieces. That made the work of the regiment easy."
"It was classy work," agreed Will Stone, who came along just then andheard what they were talking about.
"How are the tanks?" asked Frank of the newcomer. "I suppose old Jumbois just spoiling for a fight."
"I guess he is," replied Stone, with a touch of affection in his voicefor the monster tank that he commanded, "and from all I hear he's goingto get lots of it."
"I guess we all are," said Bart.
"All little pals together," hummed Billy.
"And it's going to be a different kind of fighting," went on Stone."The tide is turning at last. The Hun has been doing the driving. Nowhe's going to be driven."
"Glory hallelujah!" cried Billy.
"Do you think that General Foch is going to take the offensive?" askedBart eagerly.
"It looks that way," replied Stone. "Of course, I'm not in the secretsof the High Command, and only General Foch himself knows when and wherehe's going to strike. But by the way they're massing tanks here Ithink it will be soon. They're gathering them by the hundreds in thewoods, so that the movement can't be seen by enemy aviators. When theblow comes it will be a heavy one. And do you notice the way theAmerican divisions are being brought together here? That means thatthey'll take a big part in the offensive. Foch has been watching whatour boys have been doing, and he's going to put us in the front ranks."
"Better and better," chortled Billy. "That boy's got good judgment.He's a born fighter himself and he knows fighters when he sees them."
"Well, you boys keep right on your toes," said Stone, as he prepared toleave them, "and I'll bet a dollar to a doughnut that within three daysyou'll see the Heinies on the run."
Two days passed and nothing special happened. Then at dawn on thethird day, Foch struck like a thunderbolt!
He had gathered his forces. He had chosen the place. He had bided histime.
The German forces were taken utterly by surprise. Their General Staffwas caught napping. They had underestimated their enemy's daring andresources. Their flank was exposed, and it crumpled up under theterrific and unexpected blow.
Thousands of prisoners and hundreds of guns were taken on the firstday, and the success was continued for many days thereafter. TheAllies were elated and the Germans correspondingly depressed. Theirboasted drive had been held back, and now they themselves were thepursued, with the Allies, flushed with victory, close upon their heels.
== Attached: quantum chemistry results ==
=====
DFT (wB97M-V/def2-TZVPD) results for a structure of composition C50H54BN6S4SeTa.

Geometry as XYZ:
```
117
Properties=species:S:1:pos:R:3:forces:R:3
Ta 0.192816 -1.326141 -0.572697 0.391 -0.158 0.448
S -0.554687 -2.343381 1.441445 -0.215 -0.054 -0.026
C 0.750580 -3.003591 2.414837 0.130 0.048 -0.027
C 0.486252 -3.865639 3.471124 0.019 -0.005 0.006
C 1.545422 -4.383355 4.200371 0.029 0.005 0.003
C 2.859141 -4.040377 3.896837 -0.024 -0.009 0.004
C 3.130957 -3.163059 2.859377 0.009 0.016 -0.040
C 2.066449 -2.675304 2.118418 -0.042 0.029 0.017
S 2.207072 -1.425525 0.896260 -0.011 -0.225 -0.026
C 3.567055 -1.809509 -0.201157 0.074 0.022 0.003
C 3.455095 -0.786856 -1.291330 -0.014 -0.024 -0.003
C 4.606445 -0.320652 -1.888771 0.035 0.025 -0.016
C 4.509071 0.502650 -2.999063 -0.055 -0.031 0.035
C 3.248791 0.778736 -3.483831 0.009 0.008 -0.003
C 2.129861 0.291593 -2.820602 -0.010 0.029 -0.029
C 0.797025 0.581633 -3.429004 -0.120 -0.003 -0.060
S -0.559727 -0.455374 -2.871237 0.073 0.086 -0.097
C -0.450759 -1.923705 -3.870653 -0.015 0.048 -0.018
C -1.170065 -1.921803 -5.063439 0.017 0.003 0.008
C -1.141930 -3.034175 -5.884893 0.024 -0.030 0.017
C -0.401442 -4.145584 -5.497106 -0.024 0.021 -0.018
C 0.300997 -4.149609 -4.303602 0.016 0.008 0.013
C 0.288923 -3.034996 -3.463062 0.127 -0.082 -0.021
S 1.177210 -3.138226 -1.938874 -0.260 0.037 -0.193
N 2.212139 -0.430311 -1.694620 0.069 0.039 0.053
H -0.533869 -4.135216 3.710581 -0.002 -0.001 -0.006
H 1.344560 -5.064216 5.016362 0.004 -0.001 0.000
H 3.674130 -4.450881 4.476490 -0.002 -0.003 0.002
H 4.149012 -2.870038 2.636811 -0.001 0.001 0.008
H 3.474133 -2.820427 -0.601341 -0.041 0.004 0.009
H 4.508409 -1.705099 0.331589 0.000 -0.015 0.010
H 5.566988 -0.623067 -1.495804 0.006 0.002 -0.006
H 5.393331 0.885524 -3.489474 0.002 0.000 -0.002
H 3.110753 1.367601 -4.380456 0.007 0.002 -0.004
H 0.850265 0.476059 -4.512517 -0.019 0.005 -0.009
H 0.479871 1.598436 -3.211851 -0.015 -0.028 -0.018
H -1.750857 -1.048886 -5.336361 -0.003 0.000 0.000
H -1.695272 -3.037870 -6.813305 -0.001 -0.003 -0.002
H -0.373277 -5.022611 -6.129902 -0.003 0.000 -0.004
H 0.870762 -5.021733 -4.010673 0.003 -0.003 -0.006
C -4.258100 2.696977 1.144888 -0.007 0.014 0.012
C -3.343542 1.555125 0.683688 0.004 0.000 0.006
C -3.992744 0.206690 0.993773 0.009 0.008 -0.007
C -2.980580 1.801097 -0.777577 -0.021 -0.003 0.007
C -3.970581 1.782646 -1.753387 -0.001 0.003 -0.007
C -3.702280 2.224267 -3.040890 0.005 -0.002 -0.007
C -2.474886 2.795821 -3.326472 0.009 0.005 -0.003
C -1.456991 2.865178 -2.372091 0.031 -0.028 -0.006
C -0.271806 3.770070 -2.724583 -0.029 0.014 -0.035
C -0.743301 5.227611 -2.588815 0.017 -0.011 -0.002
C 1.062337 3.625816 -1.983397 0.013 0.013 0.055
C -1.691794 2.235884 -1.144670 -0.002 -0.013 0.012
N -0.665414 2.111495 -0.157979 -0.002 0.081 -0.001
B 0.012911 0.922301 0.334300 -0.235 0.198 -0.220
N 0.538843 1.388248 1.617473 0.016 -0.065 0.027
C 0.187974 2.721717 1.798439 0.010 0.018 0.005
=====
== So much for the quantum chemistry results ==
The Army Boys were in their element, and they fought with a dash andspirit that they had never surpassed. Other volumes of this serieswill tell of the thrilling exploits, with the tanks and otherwise, bywhich they upheld the honor and glory of the Stars and Stripes.
"Well," said Frank one evening, after a day crowded with splendidfighting, "we've put a dent in the Kaiser's helmet."
"Yes," grinned Bart, as he wiped his glowing face. "Considering thatwe're green troops that were going to run like sheep before thePrussian Guards, we haven't done so badly."
"I guess the folks at home aren't kicking," remarked Tom. "They toldus to come over here and clean up, and so far we've been obeyingorders."
"We've held back the German drive," put in Billy, "but that's just thebeginning. Now we've got to tackle another job. We've got to drivethe Hun out of France----"
"And out of Belgium," added Tom.
"And back to the Rhine," chimed in Bart.
"Get it right, you boobs," laughed Frank. "Straight back to Berlin!"
Army Boys on the Firing Line; or, Holding Back the German Drive Page 25